Contents:
~~~
1.
Below is 2 unconnected molecules or ions with the total composition C4H13N2OS at a distorted geometry, with properties calculated with wB97M-V/def2-TZVPD.

Values from the calculation:
total energy	-743.08904	hartree
maximum force	8.96	eV/A
lowest unoccupied orbital energy	3.46	eV
charge	-1
energy above the lowest of the compared OMol25 structures with the same formula, charge and spin	2.450	eV

Last column: natural (NBO) charge in e.
Positions of all 21 atoms, in Å:
C: 0.351 -0.245 2.221  -0.443
N: 0.225 0.715 0.995  -0.670
C: -0.473 -0.067 -0.109  -0.101
C: -1.891 0.411 -0.109  -0.527
S: -2.914 -0.846 -1.042  -0.764
C: 0.156 0.402 -1.474  -0.222
N: -0.163 -0.374 -2.740  -0.857
H: 1.283 0.034 2.853  0.188
H: -0.660 -0.401 2.690  0.199
H: 0.803 -1.124 1.831  0.192
H: -0.336 1.500 1.166  0.353
H: -0.253 -1.198 -0.013  0.204
H: -2.128 1.368 -0.741  0.195
H: -2.395 0.459 0.682  0.176
H: 1.233 0.512 -1.538  0.185
H: -0.152 1.472 -1.672  0.175
H: -1.104 -0.379 -3.034  0.379
H: -0.105 -1.349 -2.466  0.341
H: 3.054 0.348 1.249  0.474
H: 2.295 -0.711 0.451  0.478
O: 3.175 -0.527 0.800  -0.953

2.
Below is 2 unconnected molecules or ions with the total composition C4H13N2P at a distorted geometry, with properties calculated with wB97M-V/def2-TZVPD.

Values from the calculation:
total energy	-610.86910	hartree
maximum force	4.62	eV/A
lowest unoccupied orbital energy (spin up / spin down)	-0.49 / 0.20	eV
energy above the lowest of the compared OMol25 structures with the same formula, charge and spin	4.676	eV

Last column: natural (NBO) charge in e.
Positions of all 20 atoms, in Å:
C: 1.996 1.149 0.162  -0.477
C: 1.390 -1.005 -0.693  -0.492
C: -1.147 1.627 1.026  -0.433
C: -1.775 -1.634 0.114  -0.981
N: 1.357 -0.140 0.355  -0.256
N: -1.068 0.946 -0.291  -0.777
P: -1.923 -0.194 -0.983  0.973
H: 2.977 0.757 0.107  0.218
H: 1.989 1.769 -0.717  0.200
H: 1.656 1.786 0.985  0.202
H: 1.492 -2.059 -0.430  0.200
H: 0.421 -0.938 -1.389  0.213
H: 2.177 -0.939 -1.522  0.176
H: -0.223 2.271 1.193  0.199
H: -1.992 2.261 1.148  0.208
H: -1.275 0.900 1.903  0.186
H: -1.869 -1.427 1.205  0.246
H: -0.763 -1.988 -0.093  0.238
H: -2.426 -2.448 -0.176  0.232
H: -0.994 -0.695 -1.903  -0.074

3.
Below is 2 unconnected molecules or ions with the total composition C4H13N2P at a distorted geometry, with properties calculated with wB97M-V/def2-TZVPD.

Values from the calculation:
total energy	-610.96256	hartree
maximum force	4.28	eV/A
lowest unoccupied orbital energy (spin up / spin down)	0.64 / 0.99	eV
energy above the lowest of the compared OMol25 structures with the same formula, charge and spin	2.133	eV

Last column: natural (NBO) charge in e.
Positions of all 20 atoms, in Å:
C: 0.106 0.016 1.628  -0.693
C: 1.830 0.726 -0.104  -0.691
C: -0.239 2.241 0.207  -0.687
C: 0.432 0.856 0.420  0.095
N: -1.819 -1.598 -0.030  -1.153
N: -0.187 -2.253 -1.790  -1.178
P: -1.182 -0.861 -1.375  0.847
H: 0.052 -1.106 1.365  0.240
H: 0.888 0.110 2.295  0.205
H: -0.800 0.369 2.113  0.203
H: 2.190 -0.293 -0.107  0.217
H: 2.454 1.433 0.519  0.209
H: 1.804 0.936 -1.243  0.214
H: -1.192 2.463 0.790  0.211
H: 0.364 3.106 0.378  0.207
H: -0.424 2.291 -0.881  0.223
H: -2.097 -2.553 -0.129  0.400
H: -2.265 -0.946 0.474  0.380
H: -0.622 -2.916 -2.382  0.373
H: 0.708 -2.021 -2.147  0.378

4.
Below is 2 unconnected molecules or ions with the total composition C4H13N2P at a distorted geometry, with properties calculated with wB97M-V/def2-TZVPD.

Values from the calculation:
total energy	-610.99776	hartree
maximum force	4.48	eV/A
lowest unoccupied orbital energy	1.03	eV
energy above the lowest of the compared OMol25 structures with the same formula, charge and spin	1.175	eV

Last column: natural (NBO) charge in e.
Positions of all 20 atoms, in Å:
C: -3.678 -0.636 -0.795  -0.080
C: -2.366 0.044 0.938  -0.464
C: 2.707 -1.075 0.183  -0.959
C: 1.210 1.010 0.931  -0.939
N: 1.886 0.800 -1.713  -1.162
N: -3.645 0.215 0.204  -0.367
P: 1.185 -0.250 -0.455  0.912
H: -2.883 -1.292 -1.176  0.154
~~~

Activity:
Next, start at the top of the contents further up and write out each line, ending with the one that has "-0.107".

Worked solution:
1.
Below is 2 unconnected molecules or ions with the total composition C4H13N2OS at a distorted geometry, with properties calculated with wB97M-V/def2-TZVPD.

Values from the calculation:
total energy	-743.08904	hartree
maximum force	8.96	eV/A
lowest unoccupied orbital energy	3.46	eV
charge	-1
energy above the lowest of the compared OMol25 structures with the same formula, charge and spin	2.450	eV

Last column: natural (NBO) charge in e.
Positions of all 21 atoms, in Å:
C: 0.351 -0.245 2.221  -0.443
N: 0.225 0.715 0.995  -0.670
C: -0.473 -0.067 -0.109  -0.101
C: -1.891 0.411 -0.109  -0.527
S: -2.914 -0.846 -1.042  -0.764
C: 0.156 0.402 -1.474  -0.222
N: -0.163 -0.374 -2.740  -0.857
H: 1.283 0.034 2.853  0.188
H: -0.660 -0.401 2.690  0.199
H: 0.803 -1.124 1.831  0.192
H: -0.336 1.500 1.166  0.353
H: -0.253 -1.198 -0.013  0.204
H: -2.128 1.368 -0.741  0.195
H: -2.395 0.459 0.682  0.176
H: 1.233 0.512 -1.538  0.185
H: -0.152 1.472 -1.672  0.175
H: -1.104 -0.379 -3.034  0.379
H: -0.105 -1.349 -2.466  0.341
H: 3.054 0.348 1.249  0.474
H: 2.295 -0.711 0.451  0.478
O: 3.175 -0.527 0.800  -0.953

2.
Below is 2 unconnected molecules or ions with the total composition C4H13N2P at a distorted geometry, with properties calculated with wB97M-V/def2-TZVPD.

Values from the calculation:
total energy	-610.86910	hartree
maximum force	4.62	eV/A
lowest unoccupied orbital energy (spin up / spin down)	-0.49 / 0.20	eV
energy above the lowest of the compared OMol25 structures with the same formula, charge and spin	4.676	eV

Last column: natural (NBO) charge in e.
Positions of all 20 atoms, in Å:
C: 1.996 1.149 0.162  -0.477
C: 1.390 -1.005 -0.693  -0.492
C: -1.147 1.627 1.026  -0.433
C: -1.775 -1.634 0.114  -0.981
N: 1.357 -0.140 0.355  -0.256
N: -1.068 0.946 -0.291  -0.777
P: -1.923 -0.194 -0.983  0.973
H: 2.977 0.757 0.107  0.218
H: 1.989 1.769 -0.717  0.200
H: 1.656 1.786 0.985  0.202
H: 1.492 -2.059 -0.430  0.200
H: 0.421 -0.938 -1.389  0.213
H: 2.177 -0.939 -1.522  0.176
H: -0.223 2.271 1.193  0.199
H: -1.992 2.261 1.148  0.208
H: -1.275 0.900 1.903  0.186
H: -1.869 -1.427 1.205  0.246
H: -0.763 -1.988 -0.093  0.238
H: -2.426 -2.448 -0.176  0.232
H: -0.994 -0.695 -1.903  -0.074

3.
Below is 2 unconnected molecules or ions with the total composition C4H13N2P at a distorted geometry, with properties calculated with wB97M-V/def2-TZVPD.

Values from the calculation:
total energy	-610.96256	hartree
maximum force	4.28	eV/A
lowest unoccupied orbital energy (spin up / spin down)	0.64 / 0.99	eV
energy above the lowest of the compared OMol25 structures with the same formula, charge and spin	2.133	eV

Last column: natural (NBO) charge in e.
Positions of all 20 atoms, in Å:
C: 0.106 0.016 1.628  -0.693
C: 1.830 0.726 -0.104  -0.691
C: -0.239 2.241 0.207  -0.687
C: 0.432 0.856 0.420  0.095
N: -1.819 -1.598 -0.030  -1.153
N: -0.187 -2.253 -1.790  -1.178
P: -1.182 -0.861 -1.375  0.847
H: 0.052 -1.106 1.365  0.240
H: 0.888 0.110 2.295  0.205
H: -0.800 0.369 2.113  0.203
H: 2.190 -0.293 -0.107  0.217